Activity.
The reader should copy the notes underneath unchanged.

Given.
~~~
P.
Entry from OMol25: the ion C5H13N2O with charge +2 (wB97M-V/def2-TZVPD).

Properties
total charge	+2
2S+1	2

Positions of all 21 atoms, in Å:
H1 0.4649 2.2486 -0.6758
H2 0.2760 -1.5412 -1.7783
H3 2.0203 1.5081 -1.1648
N1 0.4527 0.1674 -0.3898
N2 1.5303 -1.2132 1.4916
H4 -0.8213 1.6624 1.1699
C1 1.0646 -2.0640 0.3837
H5 1.9604 -0.9671 -1.2584
O1 -2.7564 1.7795 0.4608
C2 -1.6534 1.2839 0.4696
C3 0.8785 -1.1287 -0.9368
C4 0.8912 1.3990 -1.1308
H6 0.1737 -2.4302 0.7031
H7 2.5364 -1.1935 1.6462
H8 1.0953 -1.5640 2.3692
H9 -1.4546 0.3963 -1.4686
H10 1.0733 -0.2739 1.0262
C5 -1.1671 0.1336 -0.4301
H11 1.7598 -3.0036 0.2813
H12 -1.5532 -0.8837 -0.1948
H13 0.5560 1.3836 -2.1880

Atomic partial charges in e from the natural (NBO) method, atoms 1 to 2: atom 1 (H): 0.21, atom 2 (H): 0.26

***

Q.
Entry from OMol25: the ion C5H13N2O with charge +2 (wB97M-V/def2-TZVPD).

Properties
total charge	+2
2S+1	2

Positions of all 21 atoms, in Å:
N1 1.8736 1.1059 -0.3931
N2 -0.8383 1.2645 -0.7684
H1 -1.5193 0.3749 0.8901
C1 -1.2711 -0.0491 -0.0320
C2 1.6823 0.3913 0.8603
H2 -1.0451 1.0847 -1.7171
C3 -0.3093 -1.1887 0.0066
H3 2.2963 0.4649 -0.9974
H4 2.5820 0.2556 1.4747
H5 -0.6692 -2.1343 0.3491
H6 -3.2739 -1.1405 0.0874
H7 2.5168 1.8945 -0.2889
H8 0.2743 1.2525 -0.7376
H9 -1.2589 2.1091 -0.2732
C4 -2.5846 -0.6650 -0.6266
H10 -0.0548 -1.5803 -0.9936
H11 1.6573 -1.7787 0.6866
C5 0.9006 -0.9574 0.8858
H12 0.7570 -1.1703 1.9602
H13 1.0206 1.0536 1.4586
O1 -2.7362 -0.5870 -1.8316

Atomic partial charges in e from the natural (NBO) method, atoms 1 to 2: atom 1 (N): -0.83, atom 2 (N): -0.73

***

Relative to the most stable structure, the computed energies are P 26.1; Q 0.0, all in kJ/mol.

***

P.
Entry from OMol25: an isolated molecule of C4H10ClN (wB97M-V/def2-TZVPD).

Properties
SMILES	C[C@@H](Cl)CCN

Positions of all 16 atoms, in Å:
N1 -2.0554 1.0819 -0.3766
H1 3.0682 0.1915 0.1148
H2 -1.7072 -0.2029 1.3188
C1 -1.6454 -0.1775 0.1936
H3 2.1420 -1.5035 0.0317
C2 -0.2333 -0.5797 -0.1343
Cl1 0.8751 1.9597 -0.0125
H4 -0.1702 -0.6387 -1.2576
H5 -2.3062 -1.0565 -0.1441
H6 2.1256 -0.5833 -1.3210
H7 -1.3449 1.7297 -0.2401
H8 -2.9220 1.4512 0.0593
H9 1.0649 0.1642 1.4244
C3 2.2016 -0.4309 -0.2380
C4 0.9420 0.2520 0.3239
H10 -0.0349 -1.6571 0.2577

Atomic partial charges in e from the natural (NBO) method, atoms 1 to 2: atom 1 (N): -0.84, atom 2 (H): 0.23

***

Q.
Entry from OMol25: an isolated molecule of C4H10ClN (wB97M-V/def2-TZVPD).

Properties
SMILES	CN(C)CCCl

Positions of all 16 atoms, in Å:
C1 0.9331 -0.2454 0.7611
H1 -2.4925 1.7378 0.7015
H2 0.6531 0.6990 1.3271
H3 -2.9766 -0.8648 -1.1584
H4 -3.3474 -0.6108 0.5230
H5 -2.0360 1.6833 -1.0294
C2 -2.5572 -0.9048 -0.1789
H6 1.1609 -1.0879 1.4197
H7 -2.4577 -1.8288 0.3340
H8 0.2903 0.0554 -1.1690
H9 -0.6672 1.9166 0.2869
C3 -1.7028 1.4209 -0.0526
C4 -0.1359 -0.4025 -0.2424
N1 -1.4021 -0.0254 0.1790
H10 -0.1046 -1.5243 -0.5184
Cl1 2.5041 0.0466 -0.2172

Atomic partial charges in e from the natural (NBO) method, atoms 1 to 2: atom 1 (C): -0.31, atom 2 (H): 0.20

***

Relative to the most stable structure, the computed energies are P 0.0; Q 110.8, all in kJ/mol.

***

P.
Entry from OMol25: a cluster of 2 separate species, C2H7N4OS in total (wB97M-V/def2-TZVPD).

Properties
total charge	+1

Positions of all 15 atoms, in Å:
H1 0.7346 2.8218 0.2701
N1 0.0649 -0.1823 -0.2186
N2 0.1497 2.1103 -0.1091
C1 -1.9174 -0.6868 0.0899
H2 -2.6742 -2.5815 -0.0142
H3 -0.6012 2.0105 -0.7688
H4 1.0310 -1.8551 -0.6023
H5 2.7504 0.1869 0.3866
N3 2.0961 0.9365 0.1505
H6 -1.0225 -2.6053 0.1153
O1 0.7510 -1.3609 0.1980
H7 2.5881 1.7821 0.2848
S1 -2.8859 0.4851 0.2616
C2 0.7467 0.9070 -0.0460
N4 -1.8112 -1.9685 0.0021

Atomic partial charges in e from the natural (NBO) method, atoms 1 to 2: atom 1 (H): 0.43, atom 2 (N): -0.26

***

Q.
Entry from OMol25: a cluster of 2 separate species, C2H7N4OS in total (wB97M-V/def2-TZVPD).

Properties
total charge	+1

Positions of all 15 atoms, in Å:
O1 -0.8784 -1.4918 0.8504
~~~

Written answer.
P.
Entry from OMol25: the ion C5H13N2O with charge +2 (wB97M-V/def2-TZVPD).

Properties
total charge	+2
2S+1	2

Positions of all 21 atoms, in Å:
H1 0.4649 2.2486 -0.6758
H2 0.2760 -1.5412 -1.7783
H3 2.0203 1.5081 -1.1648
N1 0.4527 0.1674 -0.3898
N2 1.5303 -1.2132 1.4916
H4 -0.8213 1.6624 1.1699
C1 1.0646 -2.0640 0.3837
H5 1.9604 -0.9671 -1.2584
O1 -2.7564 1.7795 0.4608
C2 -1.6534 1.2839 0.4696
C3 0.8785 -1.1287 -0.9368
C4 0.8912 1.3990 -1.1308
H6 0.1737 -2.4302 0.7031
H7 2.5364 -1.1935 1.6462
H8 1.0953 -1.5640 2.3692
H9 -1.4546 0.3963 -1.4686
H10 1.0733 -0.2739 1.0262
C5 -1.1671 0.1336 -0.4301
H11 1.7598 -3.0036 0.2813
H12 -1.5532 -0.8837 -0.1948
H13 0.5560 1.3836 -2.1880

Atomic partial charges in e from the natural (NBO) method, atoms 1 to 2: atom 1 (H): 0.21, atom 2 (H): 0.26

***

Q.
Entry from OMol25: the ion C5H13N2O with charge +2 (wB97M-V/def2-TZVPD).

Properties
total charge	+2
2S+1	2

Positions of all 21 atoms, in Å:
N1 1.8736 1.1059 -0.3931
N2 -0.8383 1.2645 -0.7684
H1 -1.5193 0.3749 0.8901
C1 -1.2711 -0.0491 -0.0320
C2 1.6823 0.3913 0.8603
H2 -1.0451 1.0847 -1.7171
C3 -0.3093 -1.1887 0.0066
H3 2.2963 0.4649 -0.9974
H4 2.5820 0.2556 1.4747
H5 -0.6692 -2.1343 0.3491
H6 -3.2739 -1.1405 0.0874
H7 2.5168 1.8945 -0.2889
H8 0.2743 1.2525 -0.7376
H9 -1.2589 2.1091 -0.2732
C4 -2.5846 -0.6650 -0.6266
H10 -0.0548 -1.5803 -0.9936
H11 1.6573 -1.7787 0.6866
C5 0.9006 -0.9574 0.8858
H12 0.7570 -1.1703 1.9602
H13 1.0206 1.0536 1.4586
O1 -2.7362 -0.5870 -1.8316

Atomic partial charges in e from the natural (NBO) method, atoms 1 to 2: atom 1 (N): -0.83, atom 2 (N): -0.73

***

Relative to the most stable structure, the computed energies are P 26.1; Q 0.0, all in kJ/mol.

***

P.
Entry from OMol25: an isolated molecule of C4H10ClN (wB97M-V/def2-TZVPD).

Properties
SMILES	C[C@@H](Cl)CCN

Positions of all 16 atoms, in Å:
N1 -2.0554 1.0819 -0.3766
H1 3.0682 0.1915 0.1148
H2 -1.7072 -0.2029 1.3188
C1 -1.6454 -0.1775 0.1936
H3 2.1420 -1.5035 0.0317
C2 -0.2333 -0.5797 -0.1343
Cl1 0.8751 1.9597 -0.0125
H4 -0.1702 -0.6387 -1.2576
H5 -2.3062 -1.0565 -0.1441
H6 2.1256 -0.5833 -1.3210
H7 -1.3449 1.7297 -0.2401
H8 -2.9220 1.4512 0.0593
H9 1.0649 0.1642 1.4244
C3 2.2016 -0.4309 -0.2380
C4 0.9420 0.2520 0.3239
H10 -0.0349 -1.6571 0.2577

Atomic partial charges in e from the natural (NBO) method, atoms 1 to 2: atom 1 (N): -0.84, atom 2 (H): 0.23

***

Q.
Entry from OMol25: an isolated molecule of C4H10ClN (wB97M-V/def2-TZVPD).

Properties
SMILES	CN(C)CCCl

Positions of all 16 atoms, in Å:
C1 0.9331 -0.2454 0.7611
H1 -2.4925 1.7378 0.7015
H2 0.6531 0.6990 1.3271
H3 -2.9766 -0.8648 -1.1584
H4 -3.3474 -0.6108 0.5230
H5 -2.0360 1.6833 -1.0294
C2 -2.5572 -0.9048 -0.1789
H6 1.1609 -1.0879 1.4197
H7 -2.4577 -1.8288 0.3340
H8 0.2903 0.0554 -1.1690
H9 -0.6672 1.9166 0.2869
C3 -1.7028 1.4209 -0.0526
C4 -0.1359 -0.4025 -0.2424
N1 -1.4021 -0.0254 0.1790
H10 -0.1046 -1.5243 -0.5184
Cl1 2.5041 0.0466 -0.2172

Atomic partial charges in e from the natural (NBO) method, atoms 1 to 2: atom 1 (C): -0.31, atom 2 (H): 0.20

***

Relative to the most stable structure, the computed energies are P 0.0; Q 110.8, all in kJ/mol.

***

P.
Entry from OMol25: a cluster of 2 separate species, C2H7N4OS in total (wB97M-V/def2-TZVPD).

Properties
total charge	+1

Positions of all 15 atoms, in Å:
H1 0.7346 2.8218 0.2701
N1 0.0649 -0.1823 -0.2186
N2 0.1497 2.1103 -0.1091
C1 -1.9174 -0.6868 0.0899
H2 -2.6742 -2.5815 -0.0142
H3 -0.6012 2.0105 -0.7688
H4 1.0310 -1.8551 -0.6023
H5 2.7504 0.1869 0.3866
N3 2.0961 0.9365 0.1505
H6 -1.0225 -2.6053 0.1153
O1 0.7510 -1.3609 0.1980
H7 2.5881 1.7821 0.2848
S1 -2.8859 0.4851 0.2616
C2 0.7467 0.9070 -0.0460
N4 -1.8112 -1.9685 0.0021

Atomic partial charges in e from the natural (NBO) method, atoms 1 to 2: atom 1 (H): 0.43, atom 2 (N): -0.26

***

Q.
Entry from OMol25: a cluster of 2 separate species, C2H7N4OS in total (wB97M-V/def2-TZVPD).

Properties
total charge	+1

Positions of all 15 atoms, in Å:
O1 -0.8784 -1.4918 0.8504